At Intrafocus, one of the strategy topics that we find most interests our clients is lead and lag indicators. In this blog, we’ll take a closer look at what these measures are, and provide some real-world examples to bring the theory to life.
Review: What are lead and lag indicators
Essentially, lead and lag indicators are a form of business measurement, used as part of the business strategy process in order to assess and measure performance. Remember, strategic KPIs are measurable values that demonstrate progress towards key business objectives. A business will usually have KPIs which span leading and lagging indicators; using both types of measure to get the most from their strategy process.
Lead indicators
- These are predictive measures that attempt to define something that will happen, or the probability of it happening.
- By nature, they are forward-facing and yet to happen
- They can also be used to effect change – influencing the outcome of lag indicators.
- Lead measures tend to be based on a goal – and are very often linked to the activities that employees carry out (processes) and things which customers value.
- Because lead indicators are predictive, they are harder to set and don’t provide any guarantee of success.
Lag indicators
- These indicators measure output or something that has happened and are by their nature, retrospective.
- Essentially, they measure whether or not the goal in question was achieved.
- These are the most common type of measure found within a business, as they are easier to set.
A good acid test is to remember that a leading measure is a driver, and a lagging measure is an outcome.
Examples of lead and lag indicators
Let’s take a customer services example. If there is a broad goal to improve customer satisfaction, then lead measures could be:
- No. of customers engaging through corporate social media channels
- Training and investment per customer service employee
- Number of hours spent engaging with a customer
- The percentage of customers completing a referral.
Within this same customer services example, lagging indicators within a defined period of time might be:
- Number of customers retained
- Percentage of customers served to call handling targets
- No. of customer complaints handled/resolved within a defined timeframe
- Percentage of customers who rated their service experience as good or above.
Is one type of measure better than the other?
No – and for most businesses and organisations, both types of measure need to be used for the best result. The lagging indicators will give a picture of your organisation’s overall health. As such, they will be valuable to your stakeholders (particularly investors) as a sign of overall performance. Leading indicators will show how well core processes are going well – predicting whether the organizations performance goals overall will continue to be favourable.
When results can be anticipated
Let’s look at another corporate function – finance. Financial teams may do very similar things each year, which make it easier to predict what exactly will need to happen for them to achieve success against their KPIs. In this instance, it is relatively easy to create a set of leading indicators which can be used to predict what a successful outcome will look like. Because the work in question is familiar, well benchmarked and predictable, leading indicators can be set confidently and without stifling innovation.
This point about innovation is key.
When outcomes are unknown
Think about a project which involves a new product launch. Perhaps your business is expanding into a new market or bringing a disruptive or innovative solution to an existing client base. In this instance, there will be plenty of unknowns.
If you try to set lead indicators, the innovation that your new direction needs to be successful will be stifled. Business leaders and managers will focus too much on trying to achieve their measures – rather than flexing and being responsive to what they learn as the project rolls out. Creativity, innovation and smart risk-taking are keys to success when the environment is changing. In this context, lead indicators can easily be detrimental and drag decision making in the wrong decision.
How do I set the right lead and lag measures?
First, know that the lagging variety is quicker and easier to develop! What are your strategic goals and what do you need to measure to see your progress to achieving them? What will demonstrate to your stakeholders that you are performing well? These questions will help to define your lagging measures.
To ascertain your leading indicators, ask what you need to do to affect the lag indicators. What can you do to control or influence them? If you can’t, then the measure simply becomes a ‘fair warning’ indicator.
Consider an ice cream van as an easy example. The weather is beyond control, but it will affect the number of ice-creams sold. Tracking the weather could be a good sales predictor, but as a lead indicator, it can’t be influenced.
However, the ice-cream van can influence sales by shifting location from a quiet industrial estate to outside a busy play centre, or by adjusting prices, hours of business or the ice-cream varieties on sale. These are all a) core processes and b) points of customer appreciation that can be influenced and measured. Hence, they are great choices for lead indicators – and their delivery will impact the lagging indicators. KPI Management is a crucial part of this process
In essence, therefore:
1. To set a lagging measure ask:
- what is my goal, and what measure will evidence that I achieved it, plus;
- what will prove that my organisation is performing to my stakeholders.
____________
Density functional theory data (ωB97M-V with the def2-TZVPD basis set) for a cluster of 6 separate species, C30H44N3O14P in total.

Structure (XYZ):
```
92
Properties=species:S:1:pos:R:3:mulliken_charge:R:1
P 0.301 0.265 -0.427 -0.147
O 0.300 0.278 -6.574 -0.360
O -0.887 3.925 3.942 -0.644
O -1.057 -1.339 -5.749 -0.559
O -2.055 -0.169 3.132 -0.293
O -1.680 -1.633 -0.911 -0.563
O 1.628 -2.521 6.909 -0.606
O -7.064 -1.071 -3.739 -0.597
O 1.177 4.350 4.817 -0.717
O 0.192 0.729 -2.088 -0.532
O 4.917 3.109 -2.336 -0.544
O -3.114 -2.450 0.643 -0.361
O -0.118 -1.280 3.519 -0.622
O -4.878 -1.653 -3.875 -0.261
O 1.562 -0.510 7.954 -0.374
N 5.835 1.464 -0.951 0.063
N 1.182 1.600 0.412 0.490
N 1.214 -1.237 -0.385 -0.469
C -4.643 -1.694 -6.203 -0.555
C 5.822 -0.027 -1.105 -0.715
C 2.962 0.704 6.526 -0.461
C 3.079 3.362 0.743 -0.528
C 0.035 -0.970 -6.103 0.445
C 1.279 -1.815 -6.136 -0.359
C 1.075 3.245 2.482 0.297
C -3.213 0.162 3.908 -0.334
C -5.924 -0.962 -5.865 -0.323
C -6.065 -1.233 -4.392 0.292
C 3.136 1.680 -1.427 0.168
C -1.210 -0.926 3.885 0.408
C 4.670 2.117 -1.581 -0.053
C 2.368 -0.771 -6.267 -0.240
C 0.519 2.084 1.623 0.003
C -4.992 -1.148 0.144 -0.468
C 6.011 1.844 0.483 -0.849
C 2.438 2.185 -0.074 0.501
C 1.883 -1.343 6.927 0.518
C -4.530 -2.402 0.849 -0.389
C 1.664 0.343 -7.005 -0.467
C 1.911 0.835 7.602 -0.392
C -3.279 -0.889 4.991 -0.568
C -1.818 -1.203 5.231 -0.222
C 2.551 -0.572 5.822 -0.004
C -4.021 -1.048 -1.012 0.037
C -3.877 -1.630 -4.903 -0.291
C 2.425 3.931 2.050 -0.719
C 0.373 3.842 3.789 0.251
C -2.793 -1.708 -0.450 0.399
H -3.821 -0.010 -1.280 0.350
H 3.025 0.561 -1.619 -0.142
H 1.694 0.207 -8.090 0.273
H -0.480 1.626 1.975 0.394
H 1.239 -2.473 -7.007 0.291
H 1.441 -1.542 0.572 0.295
H 5.956 -0.466 -0.041 0.328
H 4.049 3.843 0.397 0.487
H -3.808 -0.553 5.885 0.393
H -1.372 -0.531 5.969 0.152
H -3.207 -2.482 -4.781 0.310
H 2.902 4.789 2.639 0.410
H -4.099 0.148 3.270 0.221
H 2.667 -0.426 -5.271 0.006
H 6.021 2.977 0.646 0.272
H -3.085 1.170 4.313 0.301
H 2.563 2.206 -2.284 0.323
H 2.290 1.358 8.482 0.314
H 3.948 0.569 6.984 0.256
H -1.672 -2.244 5.521 0.369
H 1.012 1.347 7.245 0.221
H -3.299 -0.708 -4.806 0.214
H -4.868 -0.284 0.804 0.122
H 7.044 1.446 0.803 0.359
H 3.013 1.572 5.867 0.342
H -4.870 -2.737 -6.449 0.283
H -6.773 -1.360 -6.420 0.285
H 3.414 -1.112 5.432 0.307
H -4.745 -2.372 1.919 0.300
H 5.207 1.376 1.165 0.337
H 6.795 -0.303 -1.668 0.268
H -6.039 -1.188 -0.165 0.381
H -3.789 -1.781 4.613 0.208
H 2.080 1.322 -6.760 0.337
H 1.385 -2.394 -5.219 0.293
H 4.896 -0.450 -1.618 0.210
H 1.822 -0.383 5.029 -0.111
H 3.261 -1.130 -6.780 0.333
H -4.362 -1.613 -1.883 0.043
H 0.141 -0.143 -2.564 0.301
H -5.831 0.116 -6.022 0.256
H -4.098 -1.262 -7.044 0.289
H 2.037 -1.233 -1.005 0.231
H -4.975 -3.306 0.423 0.301
```

Calculated values
HOMO ... -7.6 eV
Total charge ... 0
Orbital gap ... 6.013 eV



Density functional theory data (ωB97M-V with the def2-TZVPD basis set) for a structure of composition C37H31BF2N3O2RhSb.
____________
2. To set a leading measure ask:
- what steps can be taken to influence a goal and ensure it is met – and how will I measure those. Plus;
- what are the key processes or most important customer-experience points in my business offer – and what will tell me that they are on track?
In Summary
Most organisations will need to track a mix of lagging and leading indicators as part of their KPIs, in order to present a full picture of what is happening within their organisation. To find out more, and to get expert help on your business strategy or any element of its development, please contact Intrafocus for a no-obligation chat about your needs.